### Job
Give back the material further down without additions.
### Entries
-- begin --
VASP calculation (PBE) on an optimized crystal structure of LiHF2.

Cell lengths 5.095, 3.070, 4.903 Å; angles 90.00, 121.02, 90.00 degrees
Fractional coordinates of all 8 atoms:
1 Li 0.000 0.000 0.000
2 Li 0.500 0.500 0.000
3 H 0.000 0.000 0.500
4 H 0.500 0.500 0.500
5 F 0.210 0.000 0.751
6 F 0.290 0.500 0.249
7 F 0.710 0.500 0.751
8 F 0.790 0.000 0.249

Summary:
E above lowest polymorph	0.022	eV/atom
energy of formation	-2.517	eV/atom
total DFT energy (no corrections)	-4.569	eV/atom
-- stop --
### Here it is
VASP calculation (PBE) on an optimized crystal structure of LiHF2.

Cell lengths 5.095, 3.070, 4.903 Å; angles 90.00, 121.02, 90.00 degrees
Fractional coordinates of all 8 atoms:
1 Li 0.000 0.000 0.000
2 Li 0.500 0.500 0.000
3 H 0.000 0.000 0.500
4 H 0.500 0.500 0.500
5 F 0.210 0.000 0.751
6 F 0.290 0.500 0.249
7 F 0.710 0.500 0.751
8 F 0.790 0.000 0.249

Summary:
E above lowest polymorph	0.022	eV/atom
energy of formation	-2.517	eV/atom
total DFT energy (no corrections)	-4.569	eV/atom